Listing.
/*
DFT (wB97M-V/def2-TZVPD) results for an isolated molecule of C6H10.

## Properties
- SMILES: C=CC/C=C\C
- HOMO level: -9.12 eV
- Charge: 0
- Gap between HOMO and LUMO: 10.35 eV

Last column: Löwdin charge in e.
Geometry (Å):
C 0.386 -1.274 0.268  -0.22
C 0.522 -0.713 -1.132  -0.13
C -0.217 0.276 -1.631  -0.17
C -1.386 0.940 -0.962  -0.10
C 0.478 0.453 2.101  -0.01
C 1.083 -0.323 1.208  -0.19
H -0.666 -1.388 0.557  0.11
H 0.839 -2.272 0.318  0.11
H 1.356 -1.089 -1.723  0.10
H 0.033 0.656 -2.622  0.10
H -2.284 0.858 -1.585  0.07
H -1.610 0.507 0.016  0.05
H -1.194 2.010 -0.811  0.08
H -0.596 0.399 2.272  0.06
H 1.031 1.188 2.679  0.05
H 2.157 -0.220 1.048  0.10

---

DFT (wB97M-V/def2-TZVPD) results for a cluster of 2 separate species, C6H10 in total.

## Properties
- HOMO level (spin up / spin down): -7.21 / -6.71 eV
- Charge: 0
- Gap between HOMO and LUMO (spin up / spin down): 8.23 / 7.73 eV

Last column: Löwdin charge in e.
Geometry (Å):
C 1.208 -0.623 1.657  0.00
C 0.757 -1.502 0.846  0.02
C 0.410 -0.094 0.588  -0.20
C -2.061 0.186 1.038  0.01
C 0.343 0.160 -1.919  -0.08
C 0.698 0.860 -0.562  -0.20
H 1.792 -0.264 2.447  0.09
H 0.891 -2.404 0.346  0.09
H -1.787 1.274 1.167  -0.01
H -2.478 -0.266 1.939  -0.02
H -2.426 -0.235 0.126  -0.04
H -0.688 -0.124 -1.999  0.07
H 1.048 -0.619 -1.988  0.05
H 0.551 0.799 -2.715  0.04
H 0.021 1.682 -0.365  0.09
H 1.722 1.170 -0.605  0.10

---

DFT (wB97M-V/def2-TZVPD) results for an isolated molecule of C6H10.

## Properties
- SMILES: C1CC2(C1)CC2
- HOMO level: -9.80 eV
- Charge: 0
- Gap between HOMO and LUMO: 11.02 eV

Last column: Löwdin charge in e.
Geometry (Å):
C 0.965 -0.904 -1.189  -0.09
C -0.017 0.069 -1.785  -0.09
C 0.089 -0.080 -0.302  -0.45
C 0.546 0.984 0.697  -0.11
C -0.521 0.459 1.693  -0.16
C -0.993 -0.591 0.653  -0.11
H 2.024 -0.657 -1.229  0.10
H 0.747 -1.967 -1.274  0.10
H -0.903 -0.332 -2.272  0.10
H 0.369 0.982 -2.234  0.10
H 0.392 2.017 0.368  0.11
H 1.582 0.884 1.037  0.11
H -1.280 1.195 1.972  0.10
H -0.100 0.024 2.604  0.10
H -2.018 -0.449 0.295  0.11
H -0.881 -1.634 0.967  0.11

---

DFT (wB97M-V/def2-TZVPD) results for an isolated molecule of C6H10.

## Properties
- SMILES: C=C1CCCC1
- HOMO level: -9.25 eV
- Charge: 0
- Gap between HOMO and LUMO: 10.44 eV

Last column: Löwdin charge in e.
Geometry (Å):
C 2.144 -0.023 -0.417  0.04
C 0.826 0.138 -0.432  -0.34
C 0.081 1.203 0.329  -0.17
C -0.869 0.299 1.123  -0.20
C -1.434 -0.590 0.002  -0.19
C -0.202 -0.883 -0.893  -0.15
H 2.797 0.721 0.034  0.06
H 2.612 -0.916 -0.823  0.06
H -0.261 -0.309 1.807  0.12
H 0.734 1.853 0.918  0.11
H -0.525 1.829 -0.342  0.12
H -1.634 0.836 1.690  0.11
H -1.929 -1.498 0.357  0.10
H -2.178 -0.010 -0.558  0.11
H -0.442 -0.776 -1.958  0.11
H 0.180 -1.900 -0.753  0.11

---

DFT (wB97M-V/def2-TZVPD) results for an isolated molecule of C6H10.

## Properties
- HOMO level (spin up / spin down): -8.09 / -8.11 eV
- Charge: 0
- Gap between HOMO and LUMO (spin up / spin down): 7.35 / 7.37 eV

Last column: Löwdin charge in e.
Geometry (Å):
C 2.144 0.032 0.051  -0.12
C 0.854 -0.373 0.760  -0.27
C -1.182 -1.415 -1.317  0.10
C -1.977 -0.318 -0.859  -0.23
C -1.493 0.606 0.023  -0.06
C -0.191 0.758 0.743  -0.20
H 2.599 0.918 0.512  0.07
H 1.944 0.263 -1.002  0.07
H 2.882 -0.776 0.080  0.07
H 1.072 -0.638 1.801  0.10
H -1.729 -1.875 -2.165  -0.01
H 0.438 -1.252 0.267  0.05
H -2.990 -0.110 -1.225  0.08
H -2.163 1.447 0.234  0.11
H 0.253 1.680 0.327  0.12
H -0.461 1.053 1.768  0.12

---

DFT (wB97M-V/def2-TZVPD) results for a structure of composition C6H10.

## Properties
- HOMO level: -9.72 eV
- Charge: 0
- Gap between HOMO and LUMO: 10.75 eV

Last column: Löwdin charge in e.
Geometry (Å):
C -2.647 -0.579 -0.062  -0.19
C -1.115 -0.404 0.196  -0.38
C -0.557 0.912 -0.283  -0.25
C 0.943 1.031 0.184  -0.25
C 1.881 -0.048 -0.023  -0.18
C 2.641 -1.003 -0.123  0.11
H -3.372 0.142 0.815  0.13
H -2.902 -1.810 0.103  0.10
H -3.042 -0.160 -1.240  0.12
H -0.919 -0.494 1.350  0.13
H -0.628 -1.378 -0.113  0.11
*/

Activity.
Count the lines further up that contain the word "DFT" and give the number alone.

Result.
6